Given:
A cluster of 7 separate species, C58H123F3N5O5S in total at a distorted geometry, computed with the ωB97M-V functional and the def2-TZVPD basis.

The LUMO energy is -5.77 eV. The total energy is -98790.921 eV. The calculation puts the molecular weight at 1059.71 g mol⁻¹. The value obtained for the energy above the lowest of the compared OMol25 structures with the same formula, charge and spin is 576.6 kJ/mol. Its total charge is +3.

Atoms and positions in Å:
C1 1.94400 0.28774 -1.18682
C2 0.61342 -0.42721 -1.58006
O1 -0.35372 0.34868 -1.83894
O2 0.63623 -1.68275 -1.65342
H1 2.13593 1.20254 -1.74754
H2 2.77923 -0.35560 -1.46358
H3 2.01160 0.47740 -0.11558
C3 -4.65800 6.46521 3.53555
C4 -3.53640 5.65814 3.03468
C5 -3.51702 4.21301 3.47843
C6 -2.13989 3.58901 3.24090
N1 -1.97023 2.06987 3.45594
C7 -2.57729 1.35450 2.19431
C8 -1.71793 0.06703 2.00817
C9 -0.30345 0.55579 2.29151
C10 -0.49505 1.58918 3.38117
C11 -2.72147 1.55899 4.68636
C12 -2.33392 2.20732 6.06937
C13 -2.87630 1.31907 7.21276
H4 -4.78005 6.56908 4.61371
H5 -5.61375 6.22640 3.06907
H6 -4.57839 7.45144 3.07828
H7 -2.59913 6.15527 3.28468
H8 -3.49791 5.67706 1.94552
H9 -4.18989 3.60596 2.87276
H10 -3.77151 4.14223 4.53594
H11 -1.42137 4.04168 3.92421
H12 -1.74208 3.74810 2.23863
H13 -3.66169 1.28486 2.27995
H14 -2.28294 2.02738 1.38891
H15 -1.98216 -0.71046 2.72496
H16 -1.90815 -0.27562 0.99106
H17 0.34203 -0.27145 2.58669
H18 0.09523 0.98742 1.37344
H19 -0.29670 1.32441 4.41975
H20 0.16336 2.42976 3.16203
H21 -2.36819 0.53137 4.60104
H22 -3.79262 1.66234 4.51300
H23 -2.60921 3.26197 6.07616
H24 -1.25571 2.20045 6.22910
H25 -2.51125 1.60979 8.19781
H26 -2.62978 0.26923 7.05409
H27 -3.96178 1.39982 7.15521
C14 0.67061 9.40226 0.50258
C15 1.51289 9.08370 -0.72979
C16 1.66781 7.60769 -1.10864
C17 2.30702 6.81319 0.10528
N2 2.64247 5.35434 -0.27180
C18 3.19706 4.59030 0.96573
C19 4.55058 3.98441 0.61743
C20 5.12914 4.82146 -0.51290
C21 3.82192 5.25014 -1.25331
C22 1.40955 4.56226 -0.90113
C23 0.09670 4.69904 -0.05382
C24 -1.14138 3.88014 -0.60161
H28 0.43288 10.46371 0.43244
H29 1.34816 9.31744 1.35218
H30 -0.19731 8.78663 0.73884
H31 2.52941 9.46673 -0.63986
H32 1.22394 9.66769 -1.60360
H33 2.29624 7.64581 -1.99843
H34 0.80381 7.07028 -1.49953
H35 1.74619 6.70586 1.03375
H36 3.31755 7.11312 0.38273
H37 2.53187 3.74867 1.15880
H38 3.31283 5.24926 1.82624
H39 4.42051 2.95783 0.27493
H40 5.16852 4.02054 1.51462
H41 5.66524 4.24397 -1.26602
H42 5.79990 5.60299 -0.15596
H43 3.59859 4.46085 -1.97111
H44 3.98531 6.15370 -1.84067
H45 1.70389 3.52499 -1.06099
H46 1.27299 5.03713 -1.87270
H47 -0.15857 5.75872 -0.04950
H48 0.28841 4.45727 0.99160
H49 -1.58270 4.39376 -1.45574
H50 -1.90490 3.76969 0.16842
H51 -0.93836 2.82855 -0.80418
C25 -5.93202 4.40183 -0.28413
C26 -5.05864 3.79565 -1.33781
C27 -5.72123 2.61576 -2.03830
C28 -5.98461 1.44020 -1.03490
N3 -6.50590 0.15200 -1.69788
C29 -7.24846 -0.72716 -0.65606
C30 -8.75876 -0.36128 -0.85693
C31 -8.91122 0.57944 -1.93649
C32 -7.58162 0.37974 -2.72871
C33 -5.30368 -0.63992 -2.29611
C34 -4.11731 -1.05998 -1.41832
C35 -3.00400 -1.89036 -2.14816
H52 -6.19550 3.62652 0.43531
H53 -6.83936 4.82521 -0.71492
H54 -5.32116 5.23177 0.07103
H55 -4.08304 3.56376 -0.91057
H56 -4.72645 4.43881 -2.15273
H57 -5.05116 2.25327 -2.81786
H58 -6.61221 2.95965 -2.56365
H59 -6.86579 1.71663 -0.45592
H60 -5.23315 1.19784 -0.28345
H61 -7.06884 -1.76529 -0.93559
H62 -6.88859 -0.60850 0.36595
H63 -9.29821 -1.30229 -0.96453
H64 -9.15296 0.08912 0.05404
H65 -9.77905 0.34483 -2.55289
H66 -8.85118 1.60716 -1.57833
H67 -7.58804 -0.52212 -3.34085
H68 -7.35822 1.25670 -3.33627
H69 -4.97368 0.01971 -3.09867
H70 -5.69024 -1.54586 -2.76294
H71 -4.65334 -1.50386 -0.57943
H72 -3.69281 -0.13971 -1.01705
H73 -2.05303 -2.17086 -1.69530
H74 -2.66233 -1.32903 -3.01780
H75 -3.46323 -2.79161 -2.55431
C36 2.38659 -8.30457 -4.16026
C37 2.85788 -7.97210 -2.77194
C38 2.83980 -6.44715 -2.63801
C39 3.96873 -5.76130 -3.39999
N4 4.07862 -4.19173 -3.32782
C40 5.13320 -3.60017 -4.26854

Work order:
Next, work out how many lines earlier on have the word "H2" in them; a number is enough.

Result:
1